Dangerous tensions between Russia and Ukraine are spiking again. The latest catalyst was a November 25 clash between Russian and Ukrainian warships in the Kerch Strait, which connects the Black Sea to the Sea of Azov. That narrow strait separates Russia’s Taman Peninsula from Crimea. Despite Moscow’s annexation of the latter in 2014, Kiev still considers Crimea to be Ukrainian territory, a position that the United States and its allies back emphatically. Moreover, passage through the strait is the only maritime link between Ukraine’s Black Sea ports and those on the Azov. Kiev views the strait as international waters and relies on a 2003 bilateral navigation treaty to vindicate its position. 

With the annexation of Crimea, however, Russia now regards the waterway as its territorial waters. When three Ukrainian ships violated Moscow’s demand for 48 hours‐​notice and official permission for transit (a procedure Kiev had followed a few months earlier). Russian security forces intervened, ramming one ship and firing on the others, wounding several Ukrainian sailors, and then seizing the offending vessels.

The United States and the other NATO members reacted with fury to this incident. In an address to the UN Security Council, U.S. Ambassador Nikki Haley blasted Moscow for “outlaw actions” and stated that the “outrageous violation of sovereign Ukrainian territory is part of a pattern of Russian behavior.” NATO held an emergency meeting with the Ukrainian government, and NATO Secretary General Jens Stoltenberg expressed the Alliance’s “full support for Ukraine’s territorial integrity and sovereignty, including its full navigational rights in its territorial waters under international law.” 

[Someone pasted records of molecules at this point]
~~~
Molecular formula: C47H55AsBaN5O3P
Method: DFT, wB97M-V/def2-TZVPD

Values from the calculation:
- HOMO-LUMO gap: 0.219 Eh
- Strongest force on any atom: 0.007 Eh/bohr
- DFT total energy: -4926.2951 Ha
- Energy above the lowest of the compared OMol25 structures with the same formula, charge and spin: 0.097 eV
- Net charge: 0

The geometry in XYZ format:
```
113
Properties=species:S:1:pos:R:3:forces:R:3:lowdin_charge:R:1
Ba 0.8279 -1.3383 -0.4930 -0.048 0.059 -0.002 1.800
C 3.6390 2.4450 0.6413 -0.005 0.005 0.009 -0.132
C 2.4182 2.6530 1.5451 0.010 -0.002 -0.009 -0.556
C 2.8041 3.4383 2.7970 0.005 0.002 0.015 -0.116
P 1.5426 1.0264 1.7542 -0.010 0.030 -0.041 0.998
C 2.1379 0.2040 3.3127 0.010 0.000 0.020 -0.550
C 3.6296 -0.1172 3.2352 0.023 0.006 -0.003 -0.121
C 1.7561 0.8374 4.6486 -0.021 -0.021 -0.025 -0.100
C -0.1752 1.4586 2.1635 -0.017 -0.006 -0.026 -0.341
C -0.6243 2.7400 2.4677 0.018 -0.003 0.011 -0.075
C -1.9480 3.0158 2.7888 -0.007 0.001 -0.009 -0.300
C -2.4121 4.4165 3.0900 -0.002 0.011 0.005 -0.068
C -2.8287 1.9354 2.8200 0.006 -0.007 0.000 -0.056
C -2.4254 0.6511 2.5108 0.008 -0.003 0.004 -0.025
C -1.0903 0.3657 2.1384 -0.006 0.026 0.004 -0.365
N -0.6507 -0.8590 1.7478 0.105 0.044 -0.108 -0.149
C -1.4887 -1.9768 1.9069 0.014 -0.058 0.014 -0.293
C -1.4818 -2.6917 3.1220 -0.045 -0.004 -0.017 -0.212
C -0.7656 -2.1235 4.3146 0.017 0.000 0.017 -0.034
C -2.1434 -3.9050 3.2126 0.013 -0.009 -0.007 -0.015
C -2.8431 -4.4459 2.1361 -0.009 0.005 0.009 -0.277
C -3.4989 -5.7964 2.2418 0.003 -0.006 -0.005 -0.058
C -2.9170 -3.6957 0.9751 0.008 -0.016 -0.006 -0.014
C -2.2730 -2.4647 0.8503 -0.023 0.007 0.009 -0.220
C -2.5068 -1.6324 -0.3884 0.040 0.007 0.016 -0.080
H 4.0997 3.4060 0.3961 -0.002 0.001 0.000 0.076
H 3.3683 1.9342 -0.2846 -0.001 0.001 0.000 0.043
H 4.3953 1.8365 1.1430 0.004 0.002 -0.001 0.066
H 1.6911 3.2484 0.9791 0.000 -0.005 -0.001 0.088
H 3.6071 2.9340 3.3369 -0.002 0.003 0.007 0.064
H 1.9717 3.5700 3.4865 -0.002 0.000 0.004 0.061
H 3.1745 4.4283 2.5169 -0.001 -0.003 0.004 0.079
H 1.5851 -0.7369 3.2362 0.002 -0.022 0.002 0.051
H 4.2375 0.7859 3.3230 0.000 -0.014 0.001 0.060
H 3.8938 -0.6043 2.2932 -0.007 -0.002 0.001 0.069
H 3.9200 -0.7845 4.0503 -0.010 0.000 0.001 0.078
H 2.3822 1.6962 4.8866 0.018 0.038 -0.008 0.061
H 1.8858 0.1065 5.4521 0.004 0.001 -0.003 0.078
H 0.7138 1.1587 4.6539 0.003 0.001 -0.002 0.071
H 0.0793 3.5661 2.4651 -0.010 -0.004 -0.001 0.089
H -1.5645 5.0958 3.1914 0.003 -0.002 0.000 0.068
H -2.9826 4.4596 4.0202 0.001 -0.003 -0.001 0.073
H -3.0547 4.8107 2.2983 0.000 -0.002 -0.001 0.073
H -3.8668 2.1070 3.0886 0.000 -0.001 0.002 0.110
H -3.1432 -0.1611 2.5358 -0.001 -0.001 0.004 0.112
H 0.3181 -2.1269 4.1760 0.003 -0.006 -0.015 0.049
H -0.9936 -2.7011 5.2114 -0.001 0.000 -0.004 0.080
H -1.0520 -1.0844 4.4879 -0.001 -0.004 0.002 0.080
H -2.1119 -4.4506 4.1516 -0.002 0.001 0.000 0.116
H -3.9562 -5.9406 3.2217 0.000 0.004 0.001 0.074
H -2.7693 -6.5978 2.1007 -0.001 0.001 0.002 0.077
~~~

Ukraine’s leaders want far more than NATO’s moral support, however. In addition to a boost in U.S. arms sales, Kiev is seeking a show of military force by the Alliance. Indeed, President Petro Poroshenko expressed the hope that NATO members “are now ready to relocate naval ships to the Sea of Azov in order to assist Ukraine and provide security.”

Leaving aside the problem than much of the Sea of Azov is too shallow (in some portions no more than 6 meters in depth) to accommodate most NATO warships, attempting to use the Kerch Strait without Moscow’s permission would create a horrifically dangerous crisis. Even moving NATO ships to the eastern waters of the Black Sea adjacent to the Strait would constitute a perilous provocation. Unfortunately, some political leaders, media figures, and policy experts are pushing for such a deployment. Sen. Sen. Robert Menendez (D‑NJ), for example, called for tougher sanctions against Russia, additional NATO exercises on the Black Sea and more U.S. security aid to Ukraine, “including lethal maritime equipment and weapons.”

As I discuss in a new article in the American Conservative, going down the path of increasing U.S. and NATO support for Ukraine is unwise on both strategic and moral grounds. Contrary to the narrative that Western journalists and politicians push, the quarrel between Russia and Ukraine is not a stark struggle between an aggressive, dictatorial Goliath and an innocent, beleaguered, democratic David. Ukraine is, at best, a quasi‐​democratic country with a worrisome overlay of ultra‐​nationalism and even neo‐​fascism. The relative merits of the territorial claims between Moscow and Kiev are complex and murky. In any case, that dispute is a parochial matter that warrants a studiously neutral stance on the part of the United States.  

U.S. officials need to disregard reckless calls for a show of force or a demonstration of “resolve” in response to the Kerch Strait incident. There is nothing at stake in that dispute, or even the larger controversy over the status of Crimea, which impinges on the vital interests of the American people. Instead of increasing its security connections to Kiev, as hawks are recommending, the United States would be wise to reduce its entanglement.